Your job: restate the lines further below up to the one that holds "0.9620", that line included.

____________
(1)
Compound: Li2PmZnF8
Source: the Alexandria database
Functional: GGA-PBE
Structure: optimized geometry

a b c (Å): 4.1450 5.0292 7.1857
angles (deg): 94.22 90.07 92.78
Fractional coordinates of all 12 atoms:
Li 0.0353 0.4690 0.2950
Li 0.9647 0.5310 0.7050
Pm 0.5000 0.0000 0.0000
Zn 0.5000 0.0000 0.5000
F 0.0619 0.2544 0.0491
F 0.1559 0.2520 0.5113
F 0.3511 0.7579 0.2541
F 0.3623 0.7753 0.7067
F 0.6377 0.2247 0.2933
F 0.6489 0.2421 0.7459
F 0.8441 0.7480 0.4887
F 0.9381 0.7456 0.9509

Properties
Uncorrected formation energy ... -2844 meV/atom
VASP energy ... -4.91 eV per atom
Calculated volume ... 149.2 Å³/cell



(2)
Compound: LiPr2F
Source: the Alexandria database
Functional: GGA-PBE
Structure: optimized geometry

a b c (Å): 3.4454 3.4454 31.0727
angles (deg): 90.00 90.00 120.00
Fractional coordinates of all 12 atoms:
Li 0.0000 0.0000 0.0000
Li 0.3333 0.6667 0.6667
Li 0.6667 0.3333 0.3333
Pr 0.0000 0.0000 0.1063
Pr 0.0000 0.0000 0.8937
Pr 0.3333 0.6667 0.5604
Pr 0.3333 0.6667 0.7729
Pr 0.6667 0.3333 0.2271
Pr 0.6667 0.3333 0.4396
F 0.0000 0.0000 0.5000
F 0.3333 0.6667 0.1667
F 0.6667 0.3333 0.8333

Properties
Uncorrected formation energy ... -882 meV/atom
VASP energy ... -4.22 eV per atom
Calculated volume ... 319.4 Å³/cell



(3)
Compound: LiPrF2
Source: the Alexandria database
Functional: GGA-PBE
Structure: optimized geometry

a b c (Å): 3.5386 3.5386 19.9150
angles (deg): 90.00 90.00 120.00
Fractional coordinates of all 12 atoms:
Li 0.0000 0.0000 0.0000
Li 0.3333 0.6667 0.6667
Li 0.6667 0.3333 0.3333
Pr 0.0000 0.0000 0.5000
Pr 0.3333 0.6667 0.1667
Pr 0.6667 0.3333 0.8333
F 0.0000 0.0000 0.3844
F 0.0000 0.0000 0.6156
F 0.3333 0.6667 0.0511
F 0.3333 0.6667 0.2822
F 0.6667 0.3333 0.7178
F 0.6667 0.3333 0.9489

Properties
Uncorrected formation energy ... -2505 meV/atom
VASP energy ... -5.11 eV per atom
Calculated volume ... 216.0 Å³/cell



(4)
Compound: Li2Pr2F7
Source: the Alexandria database
Functional: GGA-PBE
Structure: optimized geometry

a b c (Å): 5.3311 5.4731 5.7929
angles (deg): 73.12 89.00 83.63
Fractional coordinates of all 11 atoms:
Li 0.2058 0.4827 0.1889
Li 0.7942 0.5173 0.8111
Pr 0.2457 0.0677 0.7359
Pr 0.7543 0.9323 0.2641
F 0.0000 0.5000 0.5000
F 0.0422 0.2434 0.0380
F 0.4138 0.7660 0.1107
F 0.4635 0.2409 0.3715
F 0.5365 0.7591 0.6285
F 0.5862 0.2340 0.8893
F 0.9578 0.7565 0.9620

Properties
Uncorrected formation energy ... -3422 meV/atom
VASP energy ... -5.83 eV per atom
Calculated volume ... 160.7 Å³/cell



(5)
Compound: Li5Pr3F12
Source: the Alexandria database
Functional: GGA-PBE
Structure: optimized geometry

a b c (Å): 10.9904 10.9904 10.9904
angles (deg): 109.47 109.47 109.47
Fractional coordinates of all 80 atoms:
Li 0.0000 0.0000 0.0000
Li 0.0000 0.0000 0.5000
Li 0.0000 0.5000 0.0000
Li 0.0000 0.5000 0.5000
Li 0.1250 0.7500 0.8750
Li 0.1250 0.8750 0.2500
Li 0.2500 0.1250 0.8750
Li 0.2500 0.6250 0.3750
Li 0.3750 0.2500 0.6250
Li 0.3750 0.6250 0.7500
Li 0.5000 0.0000 0.0000
Li 0.5000 0.0000 0.5000
Li 0.5000 0.5000 0.0000
Li 0.5000 0.5000 0.5000
Li 0.6250 0.3750 0.2500
Li 0.6250 0.7500 0.3750
Li 0.7500 0.3750 0.6250
Li 0.7500 0.8750 0.1250
Li 0.8750 0.1250 0.7500
Li 0.8750 0.2500 0.1250
Pr 0.1250 0.2500 0.3750
Pr 0.1250 0.3750 0.7500
Pr 0.2500 0.3750 0.1250
Pr 0.2500 0.8750 0.6250
Pr 0.3750 0.1250 0.2500
Pr 0.3750 0.7500 0.1250
Pr 0.6250 0.2500 0.8750
Pr 0.6250 0.8750 0.7500
Pr 0.7500 0.1250 0.3750
Pr 0.7500 0.6250 0.8750
Pr 0.8750 0.6250 0.2500
Pr 0.8750 0.7500 0.6250
F 0.0207 0.2076 0.1168
F 0.0207 0.3132 0.9039
F 0.0907 0.7076 0.6868
F 0.0907 0.8832 0.4039
F 0.0961 0.6168 0.4093
F 0.0961 0.9793 0.6868
F 0.1168 0.0207 0.2076
F 0.1168 0.5961 0.9093
F 0.1868 0.2076 0.5907
F 0.1868 0.4793 0.5961
F 0.2076 0.1168 0.0207
F 0.2076 0.5907 0.1868
F 0.2924 0.3132 0.9093
F 0.2924 0.4793 0.3832
F 0.3132 0.9039 0.0207
F 0.3132 0.9093 0.2924
F 0.3832 0.2924 0.4793
F 0.3832 0.5907 0.9039
F 0.4039 0.0907 0.8832
F 0.4039 0.8132 0.5207
F 0.4093 0.0961 0.6168
F 0.4093 0.8132 0.7924
F 0.4793 0.3832 0.2924
____________

(1)
Compound: Li2PmZnF8
Source: the Alexandria database
Functional: GGA-PBE
Structure: optimized geometry

a b c (Å): 4.1450 5.0292 7.1857
angles (deg): 94.22 90.07 92.78
Fractional coordinates of all 12 atoms:
Li 0.0353 0.4690 0.2950
Li 0.9647 0.5310 0.7050
Pm 0.5000 0.0000 0.0000
Zn 0.5000 0.0000 0.5000
F 0.0619 0.2544 0.0491
F 0.1559 0.2520 0.5113
F 0.3511 0.7579 0.2541
F 0.3623 0.7753 0.7067
F 0.6377 0.2247 0.2933
F 0.6489 0.2421 0.7459
F 0.8441 0.7480 0.4887
F 0.9381 0.7456 0.9509

Properties
Uncorrected formation energy ... -2844 meV/atom
VASP energy ... -4.91 eV per atom
Calculated volume ... 149.2 Å³/cell



(2)
Compound: LiPr2F
Source: the Alexandria database
Functional: GGA-PBE
Structure: optimized geometry

a b c (Å): 3.4454 3.4454 31.0727
angles (deg): 90.00 90.00 120.00
Fractional coordinates of all 12 atoms:
Li 0.0000 0.0000 0.0000
Li 0.3333 0.6667 0.6667
Li 0.6667 0.3333 0.3333
Pr 0.0000 0.0000 0.1063
Pr 0.0000 0.0000 0.8937
Pr 0.3333 0.6667 0.5604
Pr 0.3333 0.6667 0.7729
Pr 0.6667 0.3333 0.2271
Pr 0.6667 0.3333 0.4396
F 0.0000 0.0000 0.5000
F 0.3333 0.6667 0.1667
F 0.6667 0.3333 0.8333

Properties
Uncorrected formation energy ... -882 meV/atom
VASP energy ... -4.22 eV per atom
Calculated volume ... 319.4 Å³/cell



(3)
Compound: LiPrF2
Source: the Alexandria database
Functional: GGA-PBE
Structure: optimized geometry

a b c (Å): 3.5386 3.5386 19.9150
angles (deg): 90.00 90.00 120.00
Fractional coordinates of all 12 atoms:
Li 0.0000 0.0000 0.0000
Li 0.3333 0.6667 0.6667
Li 0.6667 0.3333 0.3333
Pr 0.0000 0.0000 0.5000
Pr 0.3333 0.6667 0.1667
Pr 0.6667 0.3333 0.8333
F 0.0000 0.0000 0.3844
F 0.0000 0.0000 0.6156
F 0.3333 0.6667 0.0511
F 0.3333 0.6667 0.2822
F 0.6667 0.3333 0.7178
F 0.6667 0.3333 0.9489

Properties
Uncorrected formation energy ... -2505 meV/atom
VASP energy ... -5.11 eV per atom
Calculated volume ... 216.0 Å³/cell



(4)
Compound: Li2Pr2F7
Source: the Alexandria database
Functional: GGA-PBE
Structure: optimized geometry

a b c (Å): 5.3311 5.4731 5.7929
angles (deg): 73.12 89.00 83.63
Fractional coordinates of all 11 atoms:
Li 0.2058 0.4827 0.1889
Li 0.7942 0.5173 0.8111
Pr 0.2457 0.0677 0.7359
Pr 0.7543 0.9323 0.2641
F 0.0000 0.5000 0.5000
F 0.0422 0.2434 0.0380
F 0.4138 0.7660 0.1107
F 0.4635 0.2409 0.3715
F 0.5365 0.7591 0.6285
F 0.5862 0.2340 0.8893
F 0.9578 0.7565 0.9620